What is needed: copy every line further down that contains the word "line".

~~~
No. 1
A cluster of 10 separate species, C11H8BCl36N2O in total, computed with ωB97M-V with the def2-TZVPD basis set.

Each line ends with the natural charge from an NBO analysis.
Cartesian coordinates (Å):
C  -2.2446  -3.2952  2.9618  -0.399
N  -3.0033  -2.0608  3.0554  -0.754
C  -2.4030  -0.9718  2.2725  -0.403
B  -4.4257  -2.2281  2.5833  1.108
N  -4.7821  -2.7160  1.3346  -1.415
O  -5.4710  -1.7412  3.4560  -0.970
H  -2.7686  -4.0240  2.3448  0.188
H  -1.2580  -3.1408  2.5415  0.160
H  -2.1163  -3.7382  3.9470  0.164
H  -1.3546  -1.1442  2.0845  0.163
H  -2.9226  -0.8545  1.3266  0.192
H  -2.4706  -0.0463  2.8406  0.168
H  -5.0156  -3.6992  1.3308  0.356
H  -5.8419  -0.9816  3.0057  0.469
C  -5.2396  2.1755  1.3293  -0.231
Cl  -5.4044  0.4538  1.0435  0.120
Cl  -6.3643  3.0669  0.2823  0.021
Cl  -5.5811  2.5598  3.0216  0.040
Cl  -3.5743  2.6458  0.9581  0.029
C  0.0814  2.5505  2.8627  -0.223
Cl  1.6081  3.4119  3.0975  0.043
Cl  -1.2161  3.3895  3.7117  0.065
Cl  -0.2979  2.4673  1.1272  0.050
Cl  0.2423  0.9148  3.4920  0.078
C  5.1426  1.5066  1.9321  -0.222
Cl  5.0944  3.1965  2.4487  0.050
Cl  5.9186  1.4036  0.3480  0.050
Cl  6.0803  0.5667  3.1034  0.041
Cl  3.5071  0.8631  1.8309  0.079
C  0.0699  0.6492  -2.8929  -0.224
Cl  -0.4007  0.8557  -4.5844  0.047
Cl  1.8181  0.8724  -2.7400  0.044
Cl  -0.7625  1.8465  -1.8990  0.056
Cl  -0.3664  -0.9658  -2.3396  0.080
C  1.1986  6.8210  -0.0169  -0.228
Cl  0.4516  7.4628  -1.4853  0.048
Cl  0.5293  5.2324  0.3489  0.072
Cl  2.9450  6.6801  -0.2603  0.044
Cl  0.8831  7.9203  1.3314  0.046
C  9.2323  -1.8121  5.3437  -0.225
Cl  9.7596  -0.5862  6.5007  0.054
Cl  10.4939  -2.0600  4.1332  0.054
Cl  8.9239  -3.3292  6.1922  0.057
Cl  7.7528  -1.2700  4.5455  0.062
C  -2.5520  -2.5011  -5.5471  -0.224
Cl  -1.0587  -3.2621  -4.9886  0.056
Cl  -3.7004  -3.7522  -6.0332  0.052
Cl  -3.2495  -1.5294  -4.2555  0.083
Cl  -2.1883  -1.4623  -6.9360  0.029
C  0.8862  -3.9841  0.0489  -0.228
Cl  0.7329  -2.4560  0.9117  0.067
Cl  1.6651  -3.6986  -1.5176  0.034
Cl  1.8765  -5.1027  0.9984  0.040
Cl  -0.7133  -4.6692  -0.2024  0.086
C  0.3708  0.7143  -10.0661  -0.226
Cl  1.8955  0.1048  -9.4195  0.060
Cl  0.5064  2.4509  -10.3581  0.054
Cl  0.0018  -0.1110  -11.5839  0.052
Cl  -0.9209  0.4112  -8.9023  0.062

Output
HOMO-LUMO gap (eV): 3.76
Charge: -1
Lowest unoccupied orbital energy (eV): 1.2
F_max (eV/Å): 1.44
Energy (eV): -468046.53379
Highest occupied orbital energy (eV): -2.53

No. 2
A structure of composition C13H26F9MnNSSi, computed with ωB97M-V with the def2-TZVPD basis set.

Each line ends with the natural charge from an NBO analysis.
Cartesian coordinates (Å):
C  3.8291  -1.4720  1.4569  -0.601
C  3.3832  0.0118  1.4965  -0.453
C  3.6194  0.7224  0.1417  -0.279
C  2.3811  1.3519  -0.4970  -0.686
C  1.7098  2.4155  0.4469  -0.659
Si  1.0706  -0.0101  -0.9362  1.615
C  0.0198  0.6514  -2.3542  -0.902
C  -1.0531  1.6829  -1.8697  -0.393
C  -2.4245  0.9559  -1.7839  -0.405
C  -3.3094  1.4290  -0.6027  -0.470
C  -4.2162  0.3233  -0.0655  0.640
F  -4.5476  -0.4331  -1.1489  -0.325
F  -5.3686  0.7750  0.3786  -0.289
C  -3.5628  -0.6864  0.9155  0.465
F  -4.4561  -1.5733  1.2429  -0.270
F  -2.6116  -1.3626  0.2847  -0.311
S  -2.8016  0.0137  2.4907  2.366
F  -3.9821  -0.5487  3.3514  -0.437
F  -3.5699  1.3794  2.3726  -0.453
F  -1.5297  0.5664  1.6856  -0.494
F  -2.0234  -1.3575  2.6963  -0.460
F  -2.1193  0.5442  3.8018  -0.442
N  1.7621  -1.5820  -1.1636  -1.083
C  0.7110  -2.6088  -1.4283  -0.218
C  0.4218  -3.5112  -0.2215  -0.634
H  4.1019  -1.7761  0.4492  0.221
H  3.0449  -2.1326  1.8140  0.250
H  4.7067  -1.6324  2.0826  0.237
H  2.3566  0.1049  1.8556  0.241
H  4.0144  0.5192  2.2386  0.212
H  4.0792  0.0650  -0.5950  0.292
H  4.3350  1.6083  0.2785  -0.024
H  2.6191  1.8757  -1.4325  0.249
H  1.5008  3.3471  -0.0996  0.262
H  2.3517  2.6642  1.3717  0.069
H  0.7531  2.0824  0.8623  0.343
H  0.1838  -0.1079  0.2440  -0.184
H  -0.4276  -0.1828  -2.8945  0.268
~~~

Each line ends with the natural charge from an NBO analysis.
Each line ends with the natural charge from an NBO analysis.